Page 7 - HOH
P. 7
local Saturday 17 September 2022
Representatives of the government of Aruba sign condolence
register for Queen Elizabeth II
THE HAGUE – Plenipoten- abeth II was head of state dolences for the death of
tiary minister of Aruba in of the United Kingdom and Her Majesty Queen Eliza-
the Netherlands, Mr. Ady the British Commonwealth. beth II, expressing that
Thijsen signed the condo- the United Kingdom and
lence register at the British Earlier this week, prime min- many countries around the
Embassy in The Hague on ister Evelyn Wever-Croes world felt sorrow for this loss.
the occassion of the pass- together with ministers Xio- Many citizens of our coun-
ing of Her Majesty Queen mara Maduro and Endy try also grew up knowing
Elizabeth II of the United Croes, and member of Par- Elizabeth II as queen. She
Kingdom. liament, Ricky Hoek signed was a source of inspira-
the condolence register tion for people all around
In this way, the minister – in that the English consul the world as well as here in
the name of the govern- made available at the Aruba, mainly for her sense
ment of Aruba – expressed VNO, and this way, in the of commitment, her resil-
condolences to the British name of the government ience, and her great love
Royal Family and the peo- of Aruba, showed respect for her country.
Molecular data, as found in the file:
'''
7
Properties=species:S:1:pos:R:3:forces:R:3:mulliken_charge:R:1 method="wB97M-V/def2-TZVPD" homo_ev=-10.9 energy_ha=-721.711163 largest_force_ha_per_bohr=0.0229 smiles=Clc1ncno1 homo_lumo_gap_ev=11.595 multiplicity=1
C 0.827335 0.372067 0.318207 -1.0 -0.4 0.0 0.577
C -0.769202 -0.538262 -0.595741 0.5 0.4 0.5 -0.054
H -1.408731 -1.073498 -1.240377 -0.2 -0.6 -0.9 0.409
N 0.597932 -0.333622 -0.727843 -1.1 -0.3 -0.3 -0.449
N -1.327049 -0.019453 0.442998 0.8 0.3 0.6 -0.231
O -0.230357 0.591010 1.111742 0.2 0.1 -0.5 -0.136
Cl 2.310071 1.001758 0.691013 0.8 0.5 0.6 -0.115
'''
ple of the United Kingdom. and expressed condolenc-
es. “Queen Elizabeth II was a
Queen Elizabeth II passed symbol of continuity and
== Records of molecules, as found in the file ==
<<<
164
Properties=species:S:1:pos:R:3:forces:R:3 method="wB97M-V/def2-TZVPD" e_homo_ev=-8.68 energy_ha=-6372.978612 total_charge=0 lumo_energy_ha=-0.006
S -0.98273 9.46436 6.37851 0.85 -0.24 0.55
S -0.26096 -8.60399 5.65672 -1.54 -1.23 1.20
S -7.34479 -4.89160 1.73785 0.85 0.29 -2.58
S 5.71032 -2.28484 6.72966 -2.79 -1.13 1.65
S 1.11890 -1.60193 1.03325 -2.07 1.23 0.35
S -0.65439 -10.42811 -2.02855 2.71 -0.42 -0.64
O -3.97582 -1.81691 8.16029 -0.95 -0.32 -0.59
O -2.12489 2.19104 -5.52294 -1.78 -3.00 -0.42
O -6.19597 4.44894 2.02872 0.75 0.57 0.76
O 5.49846 4.69366 -6.75011 1.55 -0.96 -1.08
O 1.23527 -5.29152 -10.38587 -0.13 -1.83 0.91
O -5.68295 -2.15780 9.64765 2.01 -0.05 -0.56
O 0.69992 -9.78706 -1.76734 -1.59 0.08 -0.22
O -3.49996 -2.12475 10.28257 -0.91 -0.63 0.37
O 8.20582 7.20187 7.27567 -0.70 0.16 -2.59
O -1.57207 8.31297 -0.78835 1.05 -1.08 0.09
O -6.64692 -5.34245 0.42422 -1.32 0.81 2.45
O -6.87258 3.17681 3.81051 -0.80 2.80 -3.44
O 7.63460 8.60933 5.64975 1.21 3.29 0.96
O -0.15226 8.61512 -2.49633 -0.10 -0.63 0.69
O 7.45180 6.53955 5.21688 0.21 -2.13 0.84
O -0.87420 -8.67144 7.04859 0.91 0.16 -1.31
O 0.47500 -2.12796 2.27732 0.66 -0.64 -0.34
O -0.06681 -3.56297 -10.29401 -1.57 0.93 -0.86
O 0.35166 7.01638 -0.92632 -3.45 3.62 -1.81
O 6.51034 -4.68898 -1.40048 0.21 -0.23 1.88
O 0.63393 -4.36920 -8.38822 0.27 -0.76 3.01
O -8.24460 3.80468 2.15084 -3.01 -0.61 -0.86
O 5.17672 -2.36757 8.15810 1.23 0.14 -1.08
O 7.54015 4.18425 -7.72301 -2.56 -0.27 2.87
O 6.85262 3.21449 -5.75908 0.27 0.05 -0.66
O 6.65363 -3.18711 -2.98384 0.06 0.66 1.61
O -2.97558 0.02633 -5.48163 1.88 0.53 0.91
O 7.40503 -2.65673 -0.83206 -1.99 -2.92 -3.33
O 0.43528 9.43002 6.95091 -2.15 -0.16 -0.64
O -4.00145 1.58682 -6.56118 -0.14 1.88 -0.16
C -4.50434 -2.07161 9.39138 -1.11 0.46 -0.11
C -9.00146 -4.24011 1.25933 -0.77 0.18 0.09
C -4.06597 -0.59226 -6.08756 0.40 -2.41 -0.05
C 4.69116 -0.93815 6.05066 0.79 -0.33 -0.03
C -4.84215 0.49272 -6.71990 -1.53 -0.16 -0.90
C -1.19017 9.55235 -2.71605 -0.44 0.11 0.13
C -1.02518 -10.24224 -3.86503 -1.16 0.42 0.38
C 1.08546 -4.93066 -11.74607 0.42 1.23 0.06
C -1.70758 -8.21294 4.57889 0.75 0.10 -0.05
C -8.12180 4.19080 0.79513 -0.38 0.95 -0.34
C -1.14137 -2.87539 10.06931 -1.74 -0.20 -0.54
C 6.05757 -4.33518 -3.56378 0.58 0.32 -3.08
C 0.56623 -4.45151 -9.53963 0.73 0.47 -3.70
C 0.23259 -2.35712 -0.40616 -0.31 -0.27 -0.51
C 4.88036 4.32747 -5.54376 -0.63 2.05 0.86
C 5.58845 6.51940 3.72655 -0.94 -0.52 -0.13
C -7.10974 3.81431 2.75107 2.68 -3.35 4.74
C 6.19062 -5.39409 -2.56211 -0.38 -1.75 0.33
C -2.18261 9.31403 -1.54931 -0.06 2.18 -0.29
C -2.11289 9.70835 7.78805 -0.11 -0.43 0.89
C 0.48718 -2.55289 -12.42424 -0.83 -1.03 0.08
C 6.80622 8.58291 4.56870 -1.29 0.56 -2.07
C 6.71392 4.04904 -6.81520 1.45 0.30 -2.42
C 4.72183 -3.65571 5.86604 0.95 1.11 -0.73
C 0.02614 -3.84049 -11.70881 1.10 0.96 0.74
C -1.52272 7.73883 6.06096 0.31 -0.11 0.12
C -5.10037 0.40491 -8.21714 0.21 0.33 -0.13
C 0.28110 0.07271 1.03361 -0.18 -0.04 -0.97
>>>
away on the 8th of Sep- During a press confer- tranquility in a world that
tember. She was 96 years ence at the beginning of was constantly changing.
old. the week, the prime min- In the name of the gov-
During 70 years, Queen Eliz- ister expressed her con- ernment and the people
of Aruba, we express our ily, and the entire commu-
words of deep condolence nity of the United Kingdom.
to His Majesty King Charles May Queen Elizabeth II rest
III, the rest of the Royal Fam- in peace.”
Governor of Aruba visits Arubahuis
THE HAGUE – The Governor Governor Boekhoudt was The Governor was accom- The Governor of Aruba is in mentary Year in the Neth-
of Aruba, His Excellency Al- received by Plenipotentia- panied by interim director the Netherlands for a work- erlands, better known as
fonso Boekhoudt paid an ry Minister Ady Thijsen, and of the Governor’s Cabinet, ing visit. Governor Boek- Prinsjesdag.
official visit on Thursday, interim director Glenda Reinoud Pronl, and Adju- houdt, among other things,
15th of Septmber to the Hernandez, as well as the tant to the Governor, Frank will be present on Tuesday, The images are courtesy of
house of Aruba in the Neth- staff of Arubahuis. Plomp. 20th of September for the Arubahuis.
erlands, Arubahuis. inauguration of the Parlia-